What to do =
The reader should print only the last part of the entries further below, starting with the line that has "_cell_length_b 5.581".
Given =
********
Record 1
# Hf6ScN PBE-GGA relaxed
data_Hf6ScN
_chemical_formula_sum 'Hf24 Sc4 N4'
_symmetry_space_group_name_H-M 'C 1 2/c 1'
_symmetry_Int_Tables_number 15
_cell_length_a 10.735
_cell_length_b 5.581
_cell_length_c 10.992
_cell_angle_alpha 90.00
_cell_angle_beta 100.30
_cell_angle_gamma 90.00
loop_
_symmetry_equiv_pos_as_xyz
'x,y,z'
'-x,-y,-z'
'-x,y,-z+1/2'
'x,-y,z+1/2'
'x+1/2,y+1/2,z'
'-x+1/2,-y+1/2,-z'
'-x+1/2,y+1/2,-z+1/2'
'x+1/2,-y+1/2,z+1/2'
loop_
_atom_site_label
_atom_site_type_symbol
_atom_site_fract_x
_atom_site_fract_y
_atom_site_fract_z
Hf1 Hf 0.073 0.083 0.396
Hf2 Hf 0.143 0.423 0.037
Hf3 Hf 0.214 0.084 0.675
Sc1 Sc 0.000 0.416 0.750
N1 N 0.250 0.250 0.500
# **Total energy**: -9.777 eV/atom
# **Formation energy without anion corrections**: -0.4796 eV/atom
# **N(E_F)**: 6.757 states/eV/f.u.

=====

Record 2
# Hf4ScN5 PBE-GGA relaxed
data_Hf4ScN5
_chemical_formula_sum 'Hf8 Sc2 N10'
_symmetry_space_group_name_H-M 'I 4/m'
_symmetry_Int_Tables_number 87
_symmetry_space_group_name_Hall '-I 4'
_cell_length_a 7.160
_cell_length_b 7.160
_cell_length_c 4.533
_cell_angle_alpha 90.00
_cell_angle_beta 90.00
_cell_angle_gamma 90.00
loop_
_atom_site_label
_atom_site_type_symbol
_atom_site_fract_x
_atom_site_fract_y
_atom_site_fract_z
Hf1 Hf 0.102 0.299 0.000
Sc1 Sc 0.000 0.000 0.500
N1 N 0.000 0.000 0.000
N2 N 0.099 0.301 0.500
# **Total energy**: -10.606 eV/atom
# **Formation energy without anion corrections**: -1.8286 eV/atom
# **N(E_F)**: 2.452 states/eV/f.u.

=====

Record 3
# Hf5ScN6 PBE-GGA relaxed
data_Hf5ScN6
_chemical_formula_sum 'Hf10 Sc2 N12'
_symmetry_space_group_name_H-M 'C 1 2/m 1'
_symmetry_Int_Tables_number 12
_cell_length_a 5.543
_cell_length_b 9.612
_cell_length_c 5.551
_cell_angle_alpha 90.00
_cell_angle_beta 109.29
_cell_angle_gamma 90.00
loop_
_symmetry_equiv_pos_as_xyz
'x,y,z'
'-x,-y,-z'
'-x,y,-z'
'x,-y,z'
'x+1/2,y+1/2,z'
'-x+1/2,-y+1/2,-z'
'-x+1/2,y+1/2,-z'
'x+1/2,-y+1/2,z'
loop_
_atom_site_label
_atom_site_type_symbol
_atom_site_fract_x
_atom_site_fract_y
_atom_site_fract_z
Hf1 Hf 0.000 0.000 0.000
Hf2 Hf 0.000 0.167 0.500
Hf3 Hf 0.000 0.335 0.000
Sc1 Sc 0.000 0.500 0.500
N1 N 0.249 0.000 0.748
N2 N 0.249 0.167 0.248
# **Total energy**: -10.653 eV/atom
# **Formation energy without anion corrections**: -1.8157 eV/atom
# **N(E_F)**: 4.292 states/eV/f.u.

=====

Record 4
# Hf3ScN3 PBE-GGA relaxed
data_Hf3ScN3
_chemical_formula_sum 'Hf6 Sc2 N6'
_symmetry_space_group_name_H-M 'P -1'
_symmetry_Int_Tables_number 2
_cell_length_a 5.145
_cell_length_b 6.261
_cell_length_c 6.596
_cell_angle_alpha 90.06
_cell_angle_beta 90.00
_cell_angle_gamma 94.55
loop_
_symmetry_equiv_pos_as_xyz
'x,y,z'
'-x,-y,-z'
loop_
_atom_site_label
_atom_site_type_symbol
_atom_site_fract_x
_atom_site_fract_y
_atom_site_fract_z
Hf1 Hf 0.224 0.182 0.250
Hf2 Hf 0.267 0.645 0.001
Hf3 Hf 0.267 0.645 0.499
Sc1 Sc 0.229 0.181 0.750
N1 N 0.183 0.847 0.750
N2 N 0.202 0.852 0.250
N3 N 0.498 0.495 0.250
# **Total energy**: -10.048 eV/atom
# **Formation energy without anion corrections**: -1.3101 eV/atom
# **N(E_F)**: 3.513 states/eV/f.u.

=====

Record 5
# Hf3ScN2 PBE-GGA relaxed
data_Hf3ScN2
_chemical_formula_sum 'Hf12 Sc4 N8'
_symmetry_space_group_name_H-M 'C 1 2/m 1'
_symmetry_Int_Tables_number 12
_cell_length_a 14.030
_cell_length_b 3.223
_cell_length_c 10.593
_cell_angle_alpha 90.00
_cell_angle_beta 128.24
_cell_angle_gamma 90.00
loop_
_symmetry_equiv_pos_as_xyz
'x,y,z'
'-x,-y,-z'
'-x,y,-z'
'x,-y,z'
'x+1/2,y+1/2,z'
'-x+1/2,-y+1/2,-z'
'-x+1/2,y+1/2,-z'
'x+1/2,-y+1/2,z'
loop_
_atom_site_label
_atom_site_type_symbol
_atom_site_fract_x
_atom_site_fract_y
_atom_site_fract_z
Hf1 Hf 0.061 0.000 0.192
Hf2 Hf 0.189 0.500 0.060
Hf3 Hf 0.191 0.000 0.559
Sc1 Sc 0.063 0.500 0.696
N1 N 0.123 0.500 0.377
N2 N 0.127 0.000 0.877
# **Total energy**: -10.011 eV/atom
# **Formation energy without anion corrections**: -1.2040 eV/atom
# **N(E_F)**: 4.055 states/eV/f.u.

=====

Record 6
# Hf2ScN PBE-GGA relaxed
data_Hf2ScN
_chemical_formula_sum 'Hf8 Sc4 N4'
********
Here it is =
_cell_length_b 5.581
_cell_length_c 10.992
_cell_angle_alpha 90.00
_cell_angle_beta 100.30
_cell_angle_gamma 90.00
loop_
_symmetry_equiv_pos_as_xyz
'x,y,z'
'-x,-y,-z'
'-x,y,-z+1/2'
'x,-y,z+1/2'
'x+1/2,y+1/2,z'
'-x+1/2,-y+1/2,-z'
'-x+1/2,y+1/2,-z+1/2'
'x+1/2,-y+1/2,z+1/2'
loop_
_atom_site_label
_atom_site_type_symbol
_atom_site_fract_x
_atom_site_fract_y
_atom_site_fract_z
Hf1 Hf 0.073 0.083 0.396
Hf2 Hf 0.143 0.423 0.037
Hf3 Hf 0.214 0.084 0.675
Sc1 Sc 0.000 0.416 0.750
N1 N 0.250 0.250 0.500
# **Total energy**: -9.777 eV/atom
# **Formation energy without anion corrections**: -0.4796 eV/atom
# **N(E_F)**: 6.757 states/eV/f.u.

=====

Record 2
# Hf4ScN5 PBE-GGA relaxed
data_Hf4ScN5
_chemical_formula_sum 'Hf8 Sc2 N10'
_symmetry_space_group_name_H-M 'I 4/m'
_symmetry_Int_Tables_number 87
_symmetry_space_group_name_Hall '-I 4'
_cell_length_a 7.160
_cell_length_b 7.160
_cell_length_c 4.533
_cell_angle_alpha 90.00
_cell_angle_beta 90.00
_cell_angle_gamma 90.00
loop_
_atom_site_label
_atom_site_type_symbol
_atom_site_fract_x
_atom_site_fract_y
_atom_site_fract_z
Hf1 Hf 0.102 0.299 0.000
Sc1 Sc 0.000 0.000 0.500
N1 N 0.000 0.000 0.000
N2 N 0.099 0.301 0.500
# **Total energy**: -10.606 eV/atom
# **Formation energy without anion corrections**: -1.8286 eV/atom
# **N(E_F)**: 2.452 states/eV/f.u.

=====

Record 3
# Hf5ScN6 PBE-GGA relaxed
data_Hf5ScN6
_chemical_formula_sum 'Hf10 Sc2 N12'
_symmetry_space_group_name_H-M 'C 1 2/m 1'
_symmetry_Int_Tables_number 12
_cell_length_a 5.543
_cell_length_b 9.612
_cell_length_c 5.551
_cell_angle_alpha 90.00
_cell_angle_beta 109.29
_cell_angle_gamma 90.00
loop_
_symmetry_equiv_pos_as_xyz
'x,y,z'
'-x,-y,-z'
'-x,y,-z'
'x,-y,z'
'x+1/2,y+1/2,z'
'-x+1/2,-y+1/2,-z'
'-x+1/2,y+1/2,-z'
'x+1/2,-y+1/2,z'
loop_
_atom_site_label
_atom_site_type_symbol
_atom_site_fract_x
_atom_site_fract_y
_atom_site_fract_z
Hf1 Hf 0.000 0.000 0.000
Hf2 Hf 0.000 0.167 0.500
Hf3 Hf 0.000 0.335 0.000
Sc1 Sc 0.000 0.500 0.500
N1 N 0.249 0.000 0.748
N2 N 0.249 0.167 0.248
# **Total energy**: -10.653 eV/atom
# **Formation energy without anion corrections**: -1.8157 eV/atom
# **N(E_F)**: 4.292 states/eV/f.u.

=====

Record 4
# Hf3ScN3 PBE-GGA relaxed
data_Hf3ScN3
_chemical_formula_sum 'Hf6 Sc2 N6'
_symmetry_space_group_name_H-M 'P -1'
_symmetry_Int_Tables_number 2
_cell_length_a 5.145
_cell_length_b 6.261
_cell_length_c 6.596
_cell_angle_alpha 90.06
_cell_angle_beta 90.00
_cell_angle_gamma 94.55
loop_
_symmetry_equiv_pos_as_xyz
'x,y,z'
'-x,-y,-z'
loop_
_atom_site_label
_atom_site_type_symbol
_atom_site_fract_x
_atom_site_fract_y
_atom_site_fract_z
Hf1 Hf 0.224 0.182 0.250
Hf2 Hf 0.267 0.645 0.001
Hf3 Hf 0.267 0.645 0.499
Sc1 Sc 0.229 0.181 0.750
N1 N 0.183 0.847 0.750
N2 N 0.202 0.852 0.250
N3 N 0.498 0.495 0.250
# **Total energy**: -10.048 eV/atom
# **Formation energy without anion corrections**: -1.3101 eV/atom
# **N(E_F)**: 3.513 states/eV/f.u.

=====

Record 5
# Hf3ScN2 PBE-GGA relaxed
data_Hf3ScN2
_chemical_formula_sum 'Hf12 Sc4 N8'
_symmetry_space_group_name_H-M 'C 1 2/m 1'
_symmetry_Int_Tables_number 12
_cell_length_a 14.030
_cell_length_b 3.223
_cell_length_c 10.593
_cell_angle_alpha 90.00
_cell_angle_beta 128.24
_cell_angle_gamma 90.00
loop_
_symmetry_equiv_pos_as_xyz
'x,y,z'
'-x,-y,-z'
'-x,y,-z'
'x,-y,z'
'x+1/2,y+1/2,z'
'-x+1/2,-y+1/2,-z'
'-x+1/2,y+1/2,-z'
'x+1/2,-y+1/2,z'
loop_
_atom_site_label
_atom_site_type_symbol
_atom_site_fract_x
_atom_site_fract_y
_atom_site_fract_z
Hf1 Hf 0.061 0.000 0.192
Hf2 Hf 0.189 0.500 0.060
Hf3 Hf 0.191 0.000 0.559
Sc1 Sc 0.063 0.500 0.696
N1 N 0.123 0.500 0.377
N2 N 0.127 0.000 0.877
# **Total energy**: -10.011 eV/atom
# **Formation energy without anion corrections**: -1.2040 eV/atom
# **N(E_F)**: 4.055 states/eV/f.u.

=====

Record 6
# Hf2ScN PBE-GGA relaxed
data_Hf2ScN
_chemical_formula_sum 'Hf8 Sc4 N4'